Activity >
Now restate the rows further below unchanged.

File >
1.
Structure and calculated XRD peak list of HoCo3C3 (the GGA-PBE geometry in OQMD; λ = 1.5418 Å (Cu Kα)).
Peak positions follow from Bragg's law for the DFT cell and can differ from measured ones.

Principal peaks in the range 2θ from 10° to 80°, in order of falling intensity:
2theta  Rel. int.  hkl
33.42  100.0  1 0 2
38.84  59.1  1 0 4
55.96  36.2  1 1 0
46.70  28.7  1 0 6
11.07  25.6  0 0 2
74.80  24.9  1 1 8
42.52  23.5  1 0 5
45.38  19.8  0 0 8

```
data_HoCo3C3
_chemical_formula_sum 'Ho2 Co6 C6'
_space_group_name_H-M_alt 'P 63/m m c'
_space_group_IT_number 194
_space_group_name_Hall '-P 6c 2c'
_cell_length_a 3.2865
_cell_length_b 3.2865
_cell_length_c 15.9880
_cell_angle_alpha 90.00
_cell_angle_beta 90.00
_cell_angle_gamma 120.00
loop_
_atom_site_label
_atom_site_type_symbol
_atom_site_fract_x
_atom_site_fract_y
_atom_site_fract_z
_atom_site_occupancy
Ho1 Ho 0.0000 0.0000 0.0000 1
Co1 Co 0.3333 0.6667 0.1373 1
Co2 Co 0.3333 0.6667 0.7500 1
C1 C 0.3333 0.6667 0.2500 1
C2 C 0.3333 0.6667 0.6070 1
```

***

2.
Structure and calculated XRD peak list of Ho2CoSi2MoC (the GGA-PBE geometry in OQMD; λ = 1.5418 Å (Cu Kα)).
Peak positions follow from Bragg's law for the DFT cell and can differ from measured ones.

Principal peaks in the range 2θ from 10° to 80°, in order of falling intensity:
2theta  Rel. int.  hkl
36.24  100.0  1 1 -2
33.93  82.8  3 1 -1
33.76  51.4  2 0 1
25.16  43.5  1 1 0
46.73  29.7  0 2 0
34.28  26.9  4 0 -1
40.90  26.9  4 0 -3
25.87  24.5  2 0 -2

```
data_Ho2CoSi2MoC
_chemical_formula_sum 'Ho4 Co2 Si4 Mo2 C2'
_space_group_name_H-M_alt 'C 1 m 1'
_space_group_IT_number 8
_space_group_name_Hall 'C -2y'
_cell_length_a 10.876
_cell_length_b 3.888
_cell_length_c 6.890
_cell_angle_alpha 90.00
_cell_angle_beta 128.13
_cell_angle_gamma 90.00
loop_
_atom_site_label
_atom_site_type_symbol
_atom_site_fract_x
_atom_site_fract_y
_atom_site_fract_z
_atom_site_occupancy
Ho1 Ho 0.000 0.000 0.000 1
Ho2 Ho 0.131 0.000 0.592 1
Co1 Co 0.359 0.000 0.200 1
Si1 Si 0.226 0.500 0.991 1
Si2 Si 0.433 0.000 0.612 1
Mo1 Mo 0.265 0.500 0.386 1
C1 C 0.056 0.500 0.289 1
```

***

3.
Structure and calculated XRD peak list of Ta4InCoC2 (the GGA-PBE geometry in OQMD; λ = 1.5418 Å (Cu Kα)).
Peak positions follow from Bragg's law for the DFT cell and can differ from measured ones.

Principal peaks in the range 2θ from 10° to 80°, in order of falling intensity:
2theta  Rel. int.  hkl
38.71  100.0  1 0 3
33.18  26.1  1 0 0
59.28  22.4  1 1 0
73.07  15.4  2 0 3
39.33  13.9  0 0 6
73.48  13.3  1 1 6
64.25  13.0  1 0 8
52.37  10.7  1 0 6

```
data_Ta4InCoC2
_chemical_formula_sum 'Ta4 In1 Co1 C2'
_space_group_name_H-M_alt 'P -6 m 2'
_space_group_IT_number 187
_space_group_name_Hall 'P -6 2'
_cell_length_a 3.1175
_cell_length_b 3.1175
_cell_length_c 13.7468
_cell_angle_alpha 90.00
_cell_angle_beta 90.00
_cell_angle_gamma 120.00
loop_
_atom_site_label
_atom_site_type_symbol
_atom_site_fract_x
_atom_site_fract_y
_atom_site_fract_z
_atom_site_occupancy
Ta1 Ta 0.0000 0.0000 0.1397 1
Ta2 Ta 0.6667 0.3333 0.3226 1
In1 In 0.0000 0.0000 0.5000 1
Co1 Co 0.6667 0.3333 0.0000 1
C1 C 0.3333 0.6667 0.2318 1
```

***

4.
Structure and calculated XRD peak list of K3CoC6N6 (the GGA-PBE geometry in OQMD; λ = 1.5418 Å (Cu Kα)).
Peak positions follow from Bragg's law for the DFT cell and can differ from measured ones.

Solution >
1.
Structure and calculated XRD peak list of HoCo3C3 (the GGA-PBE geometry in OQMD; λ = 1.5418 Å (Cu Kα)).
Peak positions follow from Bragg's law for the DFT cell and can differ from measured ones.

Principal peaks in the range 2θ from 10° to 80°, in order of falling intensity:
2theta  Rel. int.  hkl
33.42  100.0  1 0 2
38.84  59.1  1 0 4
55.96  36.2  1 1 0
46.70  28.7  1 0 6
11.07  25.6  0 0 2
74.80  24.9  1 1 8
42.52  23.5  1 0 5
45.38  19.8  0 0 8

```
data_HoCo3C3
_chemical_formula_sum 'Ho2 Co6 C6'
_space_group_name_H-M_alt 'P 63/m m c'
_space_group_IT_number 194
_space_group_name_Hall '-P 6c 2c'
_cell_length_a 3.2865
_cell_length_b 3.2865
_cell_length_c 15.9880
_cell_angle_alpha 90.00
_cell_angle_beta 90.00
_cell_angle_gamma 120.00
loop_
_atom_site_label
_atom_site_type_symbol
_atom_site_fract_x
_atom_site_fract_y
_atom_site_fract_z
_atom_site_occupancy
Ho1 Ho 0.0000 0.0000 0.0000 1
Co1 Co 0.3333 0.6667 0.1373 1
Co2 Co 0.3333 0.6667 0.7500 1
C1 C 0.3333 0.6667 0.2500 1
C2 C 0.3333 0.6667 0.6070 1
```

***

2.
Structure and calculated XRD peak list of Ho2CoSi2MoC (the GGA-PBE geometry in OQMD; λ = 1.5418 Å (Cu Kα)).
Peak positions follow from Bragg's law for the DFT cell and can differ from measured ones.

Principal peaks in the range 2θ from 10° to 80°, in order of falling intensity:
2theta  Rel. int.  hkl
36.24  100.0  1 1 -2
33.93  82.8  3 1 -1
33.76  51.4  2 0 1
25.16  43.5  1 1 0
46.73  29.7  0 2 0
34.28  26.9  4 0 -1
40.90  26.9  4 0 -3
25.87  24.5  2 0 -2

```
data_Ho2CoSi2MoC
_chemical_formula_sum 'Ho4 Co2 Si4 Mo2 C2'
_space_group_name_H-M_alt 'C 1 m 1'
_space_group_IT_number 8
_space_group_name_Hall 'C -2y'
_cell_length_a 10.876
_cell_length_b 3.888
_cell_length_c 6.890
_cell_angle_alpha 90.00
_cell_angle_beta 128.13
_cell_angle_gamma 90.00
loop_
_atom_site_label
_atom_site_type_symbol
_atom_site_fract_x
_atom_site_fract_y
_atom_site_fract_z
_atom_site_occupancy
Ho1 Ho 0.000 0.000 0.000 1
Ho2 Ho 0.131 0.000 0.592 1
Co1 Co 0.359 0.000 0.200 1
Si1 Si 0.226 0.500 0.991 1
Si2 Si 0.433 0.000 0.612 1
Mo1 Mo 0.265 0.500 0.386 1
C1 C 0.056 0.500 0.289 1
```

***

3.
Structure and calculated XRD peak list of Ta4InCoC2 (the GGA-PBE geometry in OQMD; λ = 1.5418 Å (Cu Kα)).
Peak positions follow from Bragg's law for the DFT cell and can differ from measured ones.

Principal peaks in the range 2θ from 10° to 80°, in order of falling intensity:
2theta  Rel. int.  hkl
38.71  100.0  1 0 3
33.18  26.1  1 0 0
59.28  22.4  1 1 0
73.07  15.4  2 0 3
39.33  13.9  0 0 6
73.48  13.3  1 1 6
64.25  13.0  1 0 8
52.37  10.7  1 0 6

```
data_Ta4InCoC2
_chemical_formula_sum 'Ta4 In1 Co1 C2'
_space_group_name_H-M_alt 'P -6 m 2'
_space_group_IT_number 187
_space_group_name_Hall 'P -6 2'
_cell_length_a 3.1175
_cell_length_b 3.1175
_cell_length_c 13.7468
_cell_angle_alpha 90.00
_cell_angle_beta 90.00
_cell_angle_gamma 120.00
loop_
_atom_site_label
_atom_site_type_symbol
_atom_site_fract_x
_atom_site_fract_y
_atom_site_fract_z
_atom_site_occupancy
Ta1 Ta 0.0000 0.0000 0.1397 1
Ta2 Ta 0.6667 0.3333 0.3226 1
In1 In 0.0000 0.0000 0.5000 1
Co1 Co 0.6667 0.3333 0.0000 1
C1 C 0.3333 0.6667 0.2318 1
```

***

4.
Structure and calculated XRD peak list of K3CoC6N6 (the GGA-PBE geometry in OQMD; λ = 1.5418 Å (Cu Kα)).
Peak positions follow from Bragg's law for the DFT cell and can differ from measured ones.